November 8, 2018


TO: The Finance Committee:

James B. Murray Jr., Chair

Robert M. Blue, Vice Chair

Mark T. Bowles

Thomas A. DePasquale

Robert D. Hardie

Maurice A. Jones

Jeffrey C. Walker

Frank M. Conner III, Ex Officio


The Remaining Members of the Board:

L.D. Britt, M.D. Tammy S. Murphy

Whittington W. Clement C. Evans Poston Jr.

Attached: molecular data:
<<<
{"formula": "C42H59BrCdNO4P", "method": "ωB97M-V with the def2-TZVPD basis set", "symbols": ["Cd", "C", "C", "C", "C", "C", "C", "C", "Br", "C", "O", "C", "C", "C", "C", "C", "C", "H", "H", "H", "H", "H", "H", "H", "H", "H", "H", "H", "H", "H", "H", "H", "H", "H", "H", "H", "H", "O", "C", "O", "C", "C", "C", "C", "C", "C", "C", "C", "C", "N", "H", "H", "H", "H", "H", "H", "O", "P", "C", "C", "C", "C", "C", "C", "C", "C", "C", "C", "C", "C", "C", "C", "C", "C", "C", "C", "H", "H", "H", "H", "H", "H", "H", "H", "H", "H", "H", "H", "H", "H", "H", "H", "H", "H", "H", "H", "H", "H", "H", "H", "H", "H", "H", "H", "H", "H", "H", "H", "H"], "coordinates": [[-0.348, 0.223, 0.283], [1.144, 7.360, 1.145], [1.706, 6.761, -0.154], [3.241, 6.754, -0.055], [1.325, 7.691, -1.315], [1.207, 5.323, -0.331], [1.828, 4.289, 0.227], [1.209, 2.976, -0.099], [2.726, 1.806, -0.723], [-1.212, 2.673, -0.926], [-1.375, 1.376, -1.152], [-2.063, 3.564, -0.386], [-1.354, 4.864, -0.059], [-3.526, 3.309, -0.039], [-3.642, 2.372, 1.174], [-4.230, 2.660, -1.240], [-4.247, 4.620, 0.284], [1.611, 8.332, 1.327], [1.348, 6.712, 1.999], [0.065, 7.517, 1.079], [3.606, 7.784, -0.020], [3.686, 6.256, -0.919], [3.590, 6.253, 0.850], [1.868, 8.634, -1.204], [0.260, 7.928, -1.315], [1.586, 7.259, -2.284], [2.704, 4.327, 0.865], [-1.955, 5.735, -0.324], [-3.137, 1.425, 0.979], [-4.694, 2.157, 1.390], [-3.197, 2.821, 2.067], [-3.734, 1.732, -1.524], [-4.212, 3.333, -2.104], [-5.275, 2.442, -0.990], [-3.825, 5.108, 1.168], [-5.301, 4.415, 0.488], [-4.200, 5.318, -0.557], [-0.883, 1.941, 4.010], [-0.722, 1.590, 2.854], [-0.952, 0.432, 2.340], [-0.154, 2.657, 1.873], [-0.503, 4.049, 2.211], [-1.040, 4.977, 1.424], [-0.079, 4.834, -1.017], [-0.472, 5.536, -2.296], [-0.291, 5.010, -3.501], [0.316, 3.686, -3.667], [0.547, 2.909, -2.617], [0.148, 3.310, -1.222], [0.627, 2.185, 0.972], [-0.412, 4.245, 3.274], [-1.283, 5.924, 1.899], [-0.944, 6.507, -2.197], [-0.607, 5.554, -4.385], [0.533, 3.332, -4.669], [0.918, 1.904, -2.752], [-0.082, -1.925, -0.026], [1.028, -2.819, 0.515], [0.657, -4.565, 0.200], [0.308, -4.824, -1.293], [-1.204, -4.787, -1.517], [-1.884, -5.950, -0.777], [-1.153, -6.289, 0.535], [-0.490, -5.044, 1.123], [1.254, -2.518, 2.293], [2.207, -3.511, 3.013], [1.834, -3.666, 4.493], [1.477, -2.306, 5.092], [0.210, -1.720, 4.426], [-0.072, -2.352, 3.059], [2.613, -2.361, -0.246], [2.448, -1.965, -1.731], [3.830, -1.850, -2.369], [4.504, -3.234, -2.450], [4.021, -4.173, -1.331], [3.758, -3.389, -0.047], [1.569, -5.114, 0.452], [0.692, -5.807, -1.578], [0.793, -4.101, -1.946], [-1.423, -4.840, -2.584], [-1.585, -3.826, -1.164], [-1.903, -6.834, -1.419], [-2.924, -5.691, -0.567], [-0.384, -7.048, 0.357], [-1.847, -6.715, 1.260], [-0.103, -5.253, 2.121], [-1.245, -4.259, 1.224], [1.720, -1.524, 2.280], [3.232, -3.138, 2.947], [2.199, -4.495, 2.533], [2.669, -4.122, 5.027], [0.983, -4.346, 4.600], [2.327, -1.630, 4.948], [1.331, -2.395, 6.169], [0.306, -0.639, 4.301], [-0.660, -1.880, 5.066], [-0.763, -1.714, 2.512], [-0.552, -3.322, 3.188], [2.870, -1.444, 0.298], [1.908, -1.028, -1.805], [1.865, -2.702, -2.285], [4.438, -1.164, -1.770], [3.750, -1.407, -3.363], [5.588, -3.117, -2.385], [4.295, -3.691, -3.420], [4.764, -4.950, -1.147], [3.104, -4.686, -1.637], [4.671, -2.854, 0.228], [3.547, -4.070, 0.779]], "forces_ev_per_angstrom": [[-0.11, -0.48, -0.25], [0.00, 0.04, 0.00], [-0.03, -0.01, -0.04], [-0.02, -0.02, 0.01], [0.04, -0.01, -0.01], [-0.06, 0.16, -0.11], [0.07, -0.12, 0.08], [-0.08, -0.12, 0.08], [-0.09, -0.10, 0.00], [0.15, -0.19, 0.16], [-0.05, 0.29, -0.29], [-0.12, 0.09, -0.03], [0.13, 0.00, 0.05], [0.05, -0.05, 0.06], [0.02, 0.04, -0.01], [0.02, 0.03, -0.03], [0.01, 0.01, 0.01], [-0.04, -0.03, -0.02], [-0.01, 0.02, -0.02], [0.05, -0.01, 0.01], [-0.01, -0.05, 0.01], [-0.01, 0.03, 0.04], [-0.01, 0.01, -0.04], [-0.04, -0.05, 0.01], [0.09, -0.03, -0.01], [-0.02, 0.05, 0.07], [-0.09, 0.01, -0.11], [0.03, 0.05, 0.00], [-0.01, -0.01, 0.00], [0.06, 0.02, 0.00], [-0.03, -0.02, -0.05], [-0.01, 0.02, 0.01], [-0.01, -0.06, 0.06], [0.09, 0.03, -0.03], [-0.02, -0.01, -0.04], [0.03, 0.02, 0.02], [-0.01, -0.03, 0.04], [0.01, -0.11, -0.09], [-0.08, -0.15, -0.22], [0.01, 0.54, 0.50], [0.20, -0.04, 0.03], [0.07, -0.09, 0.11], [-0.06, 0.00, -0.30], [-0.09, 0.08, 0.16], [-0.04, -0.02, 0.16], [0.08, -0.11, -0.14], [-0.04, 0.19, -0.08], [0.04, 0.01, 0.15], [-0.07, -0.13, 0.06], [-0.07, 0.41, -0.15], [-0.01, -0.01, -0.05], [-0.02, -0.06, -0.02], [-0.01, -0.08, -0.02], [0.02, -0.04, 0.06], [-0.01, 0.01, 0.06], [0.02, -0.02, 0.01], [0.11, 0.10, -0.05], [0.02, 0.13, 0.12], [-0.21, 0.01, -0.04], [-0.13, 0.05, 0.06], [0.06, -0.08, 0.11], [0.07, 0.05, 0.04], [0.01, 0.06, -0.07], [0.03, -0.09, -0.14], [-0.12, -0.16, 0.03], [-0.06, 0.06, 0.06], [-0.03, 0.11, -0.01], [-0.06, -0.03, -0.08], [0.09, -0.05, 0.00], [0.10, -0.07, 0.06], [0.00, -0.06, -0.16], [0.23, -0.09, 0.01], [0.01, -0.05, 0.05], [-0.04, 0.02, 0.06], [-0.01, 0.10, -0.03], [-0.05, 0.00, -0.06], [-0.01, -0.03, -0.01], [0.01, -0.01, 0.01], [-0.03, -0.09, 0.04], [-0.01, 0.02, -0.01], [0.01, -0.01, -0.01], [-0.02, 0.00, 0.01], [0.01, -0.01, 0.00], [-0.02, 0.02, 0.01], [0.00, -0.03, 0.00], [0.01, 0.05, 0.01], [0.03, 0.00, 0.02], [0.05, 0.06, 0.08], [0.00, -0.02, -0.05], [-0.03, 0.03, 0.02], [0.00, -0.01, 0.00], [0.03, 0.01, -0.01], [-0.03, -0.02, 0.01], [0.02, 0.03, -0.01], [-0.04, -0.06, 0.04], [0.02, 0.03, -0.01], [0.02, -0.10, 0.05], [0.03, -0.05, 0.00], [0.05, 0.05, -0.02], [-0.10, 0.17, 0.02], [0.07, 0.10, 0.03], [-0.03, -0.03, -0.04], [0.02, 0.01, 0.01], [-0.02, -0.01, -0.02], [0.01, 0.00, 0.00], [0.00, -0.03, -0.01], [0.03, 0.01, 0.01], [-0.03, 0.00, 0.03], [0.03, 0.04, -0.03]], "mulliken_charge": [2.18, -1.68, 2.35, -1.76, -1.79, -0.54, -1.15, -0.20, -0.15, -0.23, -1.49, -0.53, -0.22, 2.03, -1.58, -1.68, -1.97, 0.55, 0.23, 0.27, 0.45, 0.40, 0.34, 0.48, 0.31, 0.33, 0.40, 1.28, -0.05, 0.61, 0.24, 0.23, 0.39, 0.44, 0.28, 0.47, 0.34, -0.71, 0.27, -0.64, 1.02, -1.30, -1.03, 2.14, -1.24, -1.1
>>>

Elizabeth M. Cranwell James V. Reyes

Barbara J. Fried Margaret F. Riley, Faculty Member

John A. Griffin Brendan T. Nigro, Student Member

Babur B. Lateef, M.D.

FROM: Susan G. Harris

SUBJECT: Minutes of the Meeting of the Finance Committee on November 8, 2018

The Finance Committee of the Board of Visitors of the University of Virginia met, in Open Session, at 1:00 p.m. on Thursday, November 8, 2018, in the Board Room of the Rotunda. James B. Murray Jr., chair, presided.

Present: Frank M. Conner III, Robert M. Blue, Thomas A. DePasquale, and Robert D. Hardie. Maurice A. Jones monitored by phone.

Absent: Mark T. Bowles and Jeffrey C. Walker

Whittington W. Clement, Barbara J. Fried, Babur B. Lateef, M.D., C. Evans Poston Jr., and Brendan T. Nigro also attended.

Present as well were Jennifer Wagner Davis, Patrick D. Hogan, Thomas C. Katsouleas, Richard P. Shannon, M.D., Melody S. Bianchetto, J. Matthew Dorchuck, Susan G. Harris, Timothy J. Heaphy, W. Thomas Leback, Megan K. Lowe, Debra D. Rinker, and Anda L. Webb. Simeon Ewing monitored by phone.

David B. MacFarlane and John G. Macfarlane III from the University of Virginia Investment Management Company (UVIMCO) Board of Directors were also present.

Robert W. Durden, Kristina M. Alimard, and James S. Matteo were the presenters.

Mr. Murray opened the meeting. After welcoming Ms. Davis, Mr. David MacFarlane, and Mr. John Macfarlane, he said Mr. Durden, UVIMCO CEO, would report on the endowment performance for FY 2018 and review UVIMCO’s investment objectives and strategy. Mr. Durden was accompanied by Ms. Alimard, UVIMCO Chief Operating Officer, and Mr. Dorchuck, UVIMCO Senior Investment Associate.

University of Virginia Investment Management Company (UVIMCO) 2017-2018 Annual Report

Mr. Durden’s report included a review of UVIMCO’s investment objectives, philosophy, policy portfolio, manager selection criteria, organization, risk management, the long term pool asset allocation as of September 30, 2018, and the portfolio performance as of June 30, 2018.

Mr. David MacFarlane, chair of UVIMCO’s Board of Directors, reviewed the portfolio and said it must be balanced between short-term and long-term risks and must be aligned with objectives and risk tolerance.

Mr. Durden said UVIMCO’s primary investment objective is to maximize long-term inflation-adjusted returns commensurate with the University’s risk tolerance. This involves evaluating the pool’s performance relative to the policy portfolio, preserving the purchasing power of long-term investment assets, and providing returns that compare favorably with peer institutions. UVIMCO believes long-term returns are best produced by employing a consistent investment philosophy and process over time. Core tenets include a focus on the long term; a belief in active management; employment of a global, flexible investment mandate; and management of risks with the understanding that risks have to be taken to generate returns. He observed that the University has a lower risk tolerance than some peers.

Ms. Alimard reviewed the risk management framework, which consists of market risk, manager risk, and liquidity risk. UVIMCO does not seek to avoid risk, but to achieve a return on investment that is appropriate for the level of risk taken. The ability to take on market risk is constrained by liquidity risk, which is the risk of not being able to transfer funds to the University or a foundation for a spending distribution, not being able to honor capital calls, and not being able to revamp the portfolio in response to market events. Manager risk includes managers underperforming expectations, and issues such as insider trading and fraud.

Mr. Durden reviewed the long-term pool asset allocation as of September 30, 2018. The portfolio target is 60% equities, 30% bonds, and 10% real assets. The actual equity component was 66% with 28.6% in public equities, 20% in long/short equities, and 18% in private equities. Real assets totaled 11% and were split between real estate at 4.5% and resources at 6.4%. The percentage of real assets has been steady for the last two decades. Fixed income totaled 22% and was split between 1) marketable alternatives and credits and 2) fixed income and cash. UVIMCO expects only modest changes in the overall asset allocation. The percentage of long/short equities has been coming down for a number of years. In 2008, for example, it comprised 35% of the portfolio. Its percentage may continue to decline. The percentage of private equity, on the other hand, may increase. In the past, it has been above 20%.

The return of the long-term pool for FY 2018 was 11.4%. All sectors of the pool outperformed their respective policy benchmarks. UVIMCO is pleased with the 7.1% return for marketable alternatives versus it flat benchmark and with the performance over the five year period, which saw a 9.6% return versus the 7.7% policy benchmark.

To introduce the closed session, Mr. Murray said Mr. Hogan, who is the president’s representative on the UVIMCO board, called him after the last UVIMCO board meeting to say that the board had decided to reconsider its asset allocation and that this could have a long term impact on the University. Even though the Board of Visitors delegates exclusive control over the portfolio to UVIMCO, it was important for the Board to understand UVIMCO’s strategy.

Closed Session

At 1:25 p.m., the committee went into closed session upon the following motion made by Mr. Blue, duly seconded, and approved.

I move that the Finance Committee go into closed session to discuss portfolio risk for investment of the long term pool where competition is involved and if made public, the financial interests of the University would be adversely affected. The closed session is authorized by § 2.2-3711.A.6 of the Code of Virginia. “

At 2:55 p.m., the committee concluded closed session by the following motion made by Mr. Murray and duly seconded, and approved by roll call vote.

Voting in the affirmative:

James B. Murray Jr. Thomas A. DePasquale

Robert M. Blue Robert D. Hardie

Frank M. Conner III


I move that we vote on and record our certification that, to the best of each committee member’s knowledge, only public business matters lawfully exempted from open meeting requirements and which were identified in the motion authorizing the closed session, were heard, discussed or considered in closed session.”

Mr. Conner concluded the meeting with an explanation of the differential tuition proposal for the College of Arts & Sciences that was included in the recent tuition and fees notice. This proposal is consistent with what was done last year for the undergraduate professional schools. Concern has been expressed that the decision would be made at the December meeting in conjunction with the 2019-2020 tuition and fees proposal. This can be done, but the two proposals are not linked. It may take time for the Board to reach a decision and so that may not occur until the Board’s March meeting.


On motion, the chair adjourned the meeting at 3:04 p.m.


These minutes have been posted to the University of Virginia’s Board of Visitors website: